Brief:
Echo everything underneath word for word.

Listing:
____________
1.
Computed, not measured: ZnSi2Br after structural relaxation at the GGA-PBE level of DFT.

space-group type	Fm-3m, No. 225
formation energy (no corrections)	0.76	eV per atom
theoretical density	4.426	g/cm3
magnetic moment	0.000	Bohr magnetons per cell
crystal system	cubic
volume	76	Å³/cell

a b c (Å): 4.746 4.746 4.746
angles (deg): 60.00 60.00 60.00
Sites, in units of the cell vectors:
Zn 0.000 0.000 0.000
Si 0.250 0.250 0.250
Si 0.750 0.750 0.750
Br 0.500 0.500 0.500


2.
Computed, not measured: PuSc2P after structural relaxation at the GGA-PBE level of DFT.

space-group type	R-3m, No. 166
theoretical density	6.426	g/cm3
energy of formation	-550	meV/atom
magnetic moment	6.310	Bohr magnetons per cell
crystal system	trigonal
volume	94	Å³/cell

a b c (Å): 8.981 8.981 8.981
angles (deg): 22.66 22.66 22.66
Sites, in units of the cell vectors:
Pu 0.000 0.000 0.000
Sc 0.226 0.226 0.226
Sc 0.774 0.774 0.774
P 0.500 0.500 0.500


3.
Computed, not measured: CrBi after structural relaxation at the GGA-PBE level of DFT.

space-group type	I-43m, No. 217
theoretical density	6.722	g/cm3
energy of formation	697	meV/atom
magnetic moment	0.000	Bohr magnetons per cell
crystal system	cubic
volume	258	Å³/cell

a b c (Å): 6.945 6.945 6.945
angles (deg): 109.47 109.47 109.47
Sites, in units of the cell vectors:
Cr 0.000 0.000 0.798
Cr 0.000 0.798 0.000
Cr 0.202 0.202 0.202
Cr 0.798 0.000 0.000
Bi 0.000 0.000 0.407
Bi 0.000 0.407 0.000
Bi 0.407 0.000 0.000
Bi 0.593 0.593 0.593


4.
Computed, not measured: Li2YCrI after structural relaxation at the GGA-PBE level of DFT.

space-group type	P4/mmm, No. 123
formation energy (no corrections)	1.49	eV per atom
theoretical density	2.569	g/cm3
magnetic moment	0.975	Bohr magnetons per cell
crystal system	tetragonal
volume	182	Å³/cell

a b c (Å): 5.697 5.697 5.611
angles (deg): 90.00 90.00 90.00
Sites, in units of the cell vectors:
Li 0.000 0.500 0.000
Li 0.500 0.000 0.000
Y 0.000 0.000 0.000
Cr 0.500 0.500 0.500
I 0.000 0.000 0.500


5.
Computed, not measured: TmHf2U after structural relaxation at the GGA-PBE level of DFT.

space-group type	R-3m, No. 166
theoretical density	13.024	g/cm3
energy of formation	408	meV/atom
magnetic moment	1.470	Bohr magnetons per cell
crystal system	trigonal
volume	97	Å³/cell

a b c (Å): 5.320 5.320 5.320
angles (deg): 56.31 56.31 56.31
Sites, in units of the cell vectors:
Tm 0.000 0.000 0.000
Hf 0.229 0.229 0.229
Hf 0.771 0.771 0.771
U 0.500 0.500 0.500


6.
Computed, not measured: K5HF6 after structural relaxation at the GGA-PBE level of DFT.

space-group type	C2/m, No. 12
theoretical density	2.100	g/cm3
magnetic moment	0.315	Bohr magnetons per cell
crystal system	monoclinic
electronic total energy	-4.158	eV/atom
volume	246	Å³/cell

a b c (Å): 6.593 6.593 6.372
angles (deg): 93.86 93.86 116.66
Sites, in units of the cell vectors:
K 0.000 0.000 0.000
K 0.261 0.739 0.500
K 0.343 0.657 0.000
K 0.657 0.343 0.000
K 0.739 0.261 0.500
H 0.500 0.500 0.500
F 0.018 0.373 0.213
F 0.373 0.018 0.213
F 0.423 0.423 0.651
F 0.577 0.577 0.349
F 0.627 0.982 0.787
F 0.982 0.627 0.787


7.
Computed, not measured: NiSnSe2N after structural relaxation at the GGA-PBE level of DFT.

space-group type	P4/mmm, No. 123
formation energy (no corrections)	1.16	eV per atom
theoretical density	5.124	g/cm3
magnetic moment	2.941	Bohr magnetons per cell
crystal system	tetragonal
volume	113	Å³/cell

a b c (Å): 5.330 5.330 3.985
angles (deg): 90.00 90.00 90.00
Sites, in units of the cell vectors:
Ni 0.000 0.000 0.000
Sn 0.500 0.500 0.500
Se 0.000 0.500 0.500
Se 0.500 0.000 0.500
N 0.500 0.500 0.000


8.
Computed, not measured: Pm4In5Co2 after structural relaxation at the GGA-PBE level of DFT.

space-group type	P2/m, No. 10
theoretical density	7.652	g/cm3
energy of formation	-339	meV/atom
magnetic moment	0.854	Bohr magnetons per cell
crystal system	monoclinic
volume	276	Å³/cell

a b c (Å): 7.764 3.771 9.461
angles (deg): 90.00 94.84 90.00
Sites, in units of the cell vectors:
Pm 0.175 0.000 0.339
____________

Written answer:
1.
Computed, not measured: ZnSi2Br after structural relaxation at the GGA-PBE level of DFT.

space-group type	Fm-3m, No. 225
formation energy (no corrections)	0.76	eV per atom
theoretical density	4.426	g/cm3
magnetic moment	0.000	Bohr magnetons per cell
crystal system	cubic
volume	76	Å³/cell

a b c (Å): 4.746 4.746 4.746
angles (deg): 60.00 60.00 60.00
Sites, in units of the cell vectors:
Zn 0.000 0.000 0.000
Si 0.250 0.250 0.250
Si 0.750 0.750 0.750
Br 0.500 0.500 0.500


2.
Computed, not measured: PuSc2P after structural relaxation at the GGA-PBE level of DFT.

space-group type	R-3m, No. 166
theoretical density	6.426	g/cm3
energy of formation	-550	meV/atom
magnetic moment	6.310	Bohr magnetons per cell
crystal system	trigonal
volume	94	Å³/cell

a b c (Å): 8.981 8.981 8.981
angles (deg): 22.66 22.66 22.66
Sites, in units of the cell vectors:
Pu 0.000 0.000 0.000
Sc 0.226 0.226 0.226
Sc 0.774 0.774 0.774
P 0.500 0.500 0.500


3.
Computed, not measured: CrBi after structural relaxation at the GGA-PBE level of DFT.

space-group type	I-43m, No. 217
theoretical density	6.722	g/cm3
energy of formation	697	meV/atom
magnetic moment	0.000	Bohr magnetons per cell
crystal system	cubic
volume	258	Å³/cell

a b c (Å): 6.945 6.945 6.945
angles (deg): 109.47 109.47 109.47
Sites, in units of the cell vectors:
Cr 0.000 0.000 0.798
Cr 0.000 0.798 0.000
Cr 0.202 0.202 0.202
Cr 0.798 0.000 0.000
Bi 0.000 0.000 0.407
Bi 0.000 0.407 0.000
Bi 0.407 0.000 0.000
Bi 0.593 0.593 0.593


4.
Computed, not measured: Li2YCrI after structural relaxation at the GGA-PBE level of DFT.

space-group type	P4/mmm, No. 123
formation energy (no corrections)	1.49	eV per atom
theoretical density	2.569	g/cm3
magnetic moment	0.975	Bohr magnetons per cell
crystal system	tetragonal
volume	182	Å³/cell

a b c (Å): 5.697 5.697 5.611
angles (deg): 90.00 90.00 90.00
Sites, in units of the cell vectors:
Li 0.000 0.500 0.000
Li 0.500 0.000 0.000
Y 0.000 0.000 0.000
Cr 0.500 0.500 0.500
I 0.000 0.000 0.500


5.
Computed, not measured: TmHf2U after structural relaxation at the GGA-PBE level of DFT.

space-group type	R-3m, No. 166
theoretical density	13.024	g/cm3
energy of formation	408	meV/atom
magnetic moment	1.470	Bohr magnetons per cell
crystal system	trigonal
volume	97	Å³/cell

a b c (Å): 5.320 5.320 5.320
angles (deg): 56.31 56.31 56.31
Sites, in units of the cell vectors:
Tm 0.000 0.000 0.000
Hf 0.229 0.229 0.229
Hf 0.771 0.771 0.771
U 0.500 0.500 0.500


6.
Computed, not measured: K5HF6 after structural relaxation at the GGA-PBE level of DFT.

space-group type	C2/m, No. 12
theoretical density	2.100	g/cm3
magnetic moment	0.315	Bohr magnetons per cell
crystal system	monoclinic
electronic total energy	-4.158	eV/atom
volume	246	Å³/cell

a b c (Å): 6.593 6.593 6.372
angles (deg): 93.86 93.86 116.66
Sites, in units of the cell vectors:
K 0.000 0.000 0.000
K 0.261 0.739 0.500
K 0.343 0.657 0.000
K 0.657 0.343 0.000
K 0.739 0.261 0.500
H 0.500 0.500 0.500
F 0.018 0.373 0.213
F 0.373 0.018 0.213
F 0.423 0.423 0.651
F 0.577 0.577 0.349
F 0.627 0.982 0.787
F 0.982 0.627 0.787


7.
Computed, not measured: NiSnSe2N after structural relaxation at the GGA-PBE level of DFT.

space-group type	P4/mmm, No. 123
formation energy (no corrections)	1.16	eV per atom
theoretical density	5.124	g/cm3
magnetic moment	2.941	Bohr magnetons per cell
crystal system	tetragonal
volume	113	Å³/cell

a b c (Å): 5.330 5.330 3.985
angles (deg): 90.00 90.00 90.00
Sites, in units of the cell vectors:
Ni 0.000 0.000 0.000
Sn 0.500 0.500 0.500
Se 0.000 0.500 0.500
Se 0.500 0.000 0.500
N 0.500 0.500 0.000


8.
Computed, not measured: Pm4In5Co2 after structural relaxation at the GGA-PBE level of DFT.

space-group type	P2/m, No. 10
theoretical density	7.652	g/cm3
energy of formation	-339	meV/atom
magnetic moment	0.854	Bohr magnetons per cell
crystal system	monoclinic
volume	276	Å³/cell

a b c (Å): 7.764 3.771 9.461
angles (deg): 90.00 94.84 90.00
Sites, in units of the cell vectors:
Pm 0.175 0.000 0.339